As a front-end architect and freelancer, I often do performance audits for websites. One recurrent problem is dealing with page making a heavy usage of JavaScript. They can load up to dozens of scripts, including:

  • non-documented and non-commented jQuery or vanilla JS code,
  • jQuery plugins doing some magical transformations to the DOM,
  • over-minified external scripts the marketing said « it’s just a small tag, don’t worry ».

How to audit that? How to understand what’s happening on the page? In-browsers JS profilers are nice when you want to detect the slowest functions included in all the scripts, but they are of no help if you need to understand why these functions are so slow.


I played a lot with Phantomas (by Maciej Brencz). In case you don’t know this tool, it’s great. It loads a page with PhantomJS (a headless browser), analyzes various aspects of the page and outputs metrics about performances and quality.


I was fascinated by the fact that it can detect and count JavaScript interactions with the DOM. But counting is not enough, I wanted to have more information:

  • When did the DOM interactions happen during page load?
  • Which script and which function made the call?
  • Could I detect any kind of redundancy, any unoptimized loops?

So I wrote a Phantomas module that logs everything: DOM queries, readings, writings, bindings.

Erm not exactly everything…

## These data records were left in the article by mistake
********
# 1
Formula: C24H33Br2N4O8
Source: OMol25
Level of theory: ωB97M-V/def2-TZVPD

Results
**Relative energy (zero: lowest compared OMol25 entry of this formula, charge and spin)**: 8.3 kcal/mol
**LUMO level**: 1.556 eV
**Net charge**: -1
**HOMO energy**: -3.172 eV

XYZ file:
```
71
C24H33Br2N4O8 ωB97M-V/def2-TZVPD
N 0.132 1.023 0.802
H -0.221 0.533 1.673
H 0.991 0.557 0.528
H 0.258 2.068 1.043
H -0.468 0.963 -0.015
C 2.413 4.806 0.530
C 0.939 4.340 0.407
O 0.464 3.619 1.443
H 2.846 4.810 1.531
H 2.600 5.797 0.085
H 3.061 4.179 -0.104
H 0.891 3.825 -0.593
H 0.350 5.279 0.241
C 0.264 -1.960 2.606
C 0.010 -1.059 3.829
O -0.274 0.237 3.478
H 1.349 -1.993 2.437
H -0.190 -1.602 1.679
H -0.126 -2.978 2.741
H 0.840 -1.108 4.561
H -0.894 -1.518 4.311
Br 7.342 -1.148 2.794
C 5.586 -0.376 2.382
C 5.188 -0.838 1.009
Br 3.346 -0.280 0.702
H 5.725 0.698 2.443
H 4.865 -0.670 3.137
H 5.225 -1.916 0.889
H 5.788 -0.403 0.216
C 1.409 -6.309 -1.746
C 0.183 -5.869 -2.208
C -0.223 -4.568 -1.967
C 0.624 -3.727 -1.270
C 1.808 -4.171 -0.731
C 2.184 -5.491 -0.918
N 0.281 -2.306 -1.173
O 1.183 -1.570 -0.828
O -0.834 -1.945 -1.486
H 1.767 -7.332 -1.790
H -0.446 -6.595 -2.707
H -1.204 -4.229 -2.265
H 2.484 -3.484 -0.242
H 3.175 -5.840 -0.661
C -1.478 4.165 -5.901
C -1.008 4.581 -4.670
C -0.227 3.730 -3.893
C 0.113 2.494 -4.397
C -0.310 2.090 -5.650
C -1.107 2.928 -6.417
N 0.839 1.496 -3.597
O 1.744 0.904 -4.157
O 0.419 1.280 -2.487
H -2.119 4.788 -6.514
H -1.244 5.544 -4.238
H 0.103 4.063 -2.916
H 0.058 1.186 -6.119
H -1.418 2.592 -7.397
C -5.937 -1.018 4.080
C -5.446 -1.748 3.015
C -4.420 -1.203 2.247
C -4.014 0.086 2.488
C -4.617 0.878 3.446
C -5.576 0.316 4.274
N -2.942 0.685 1.683
O -2.499 1.745 2.028
O -2.552 0.041 0.712
H -6.765 -1.380 4.683
H -5.847 -2.730 2.810
H -4.036 -1.771 1.412
H -4.351 1.905 3.647
H -6.058 0.905 5.040
```

Results of the Löwdin charge analysis, in e, for atoms 1 through 2: 0.2265, 0.0496

---

# 2
Formula: C24H33BrN2OPtSi
Source: OMol25
Level of theory: ωB97M-V/def2-TZVPD

Results
**Relative energy (zero: lowest compared OMol25 entry of this formula, charge and spin)**: 1.0 kcal/mol
**LUMO level**: 4.554 eV
**Net charge**: -2
**HOMO energy**: -0.943 eV

XYZ file:
```
63
C24H33BrN2OPtSi ωB97M-V/def2-TZVPD
Pt -2.435 -0.894 -1.062
C -2.119 0.910 -0.150
Si -0.515 0.921 0.762
C 0.030 -0.719 1.596
N -0.112 -1.896 0.767
C -0.405 -3.132 1.473
C 0.831 -3.789 2.099
C 1.975 -3.886 1.064
C 1.490 -3.453 -0.318
C 0.933 -2.036 -0.244
C 0.926 1.652 -0.253
C 2.261 1.287 -0.064
C 3.293 1.901 -0.763
C 3.012 2.912 -1.671
C 1.694 3.301 -1.871
C 0.673 2.676 -1.170
C -0.600 2.110 2.272
C -1.388 1.750 3.374
C -1.518 2.579 4.478
C -0.866 3.807 4.508
C -0.094 4.195 3.421
C 0.032 3.355 2.322
H -2.206 1.776 -0.822
H -2.919 1.016 0.594
H -0.647 -0.828 2.450
H 1.047 -0.611 2.030
H -0.877 -3.818 0.764
H -1.160 -2.927 2.230
H 0.554 -4.783 2.464
H 1.153 -3.213 2.972
H 2.383 -4.901 1.029
H 2.801 -3.228 1.357
H 0.718 -4.129 -0.692
H 2.309 -3.472 -1.043
H 0.540 -1.729 -1.216
********
## Back to the article

Actually only functions can be intercepted. Assignments such as « element.className = ‘foo’ » are not caught (maybe one day with MutationObserver).

It also records most of jQuery’s functions, the ones that interact with the DOM.

Yellow Lab Tools

When profiling a webpage, there can be thousands of DOM interactions, that are hard to analyze. It needed an HTML UI, and that’s what Yellow Lab Tools brings in.

After launching a test click on the “JS Timeline” menu button. You’ll see a timeline that looks like this (example with

YellowLabTools timeline screenshot

This timeline shows the loading of the page. Each bar represents a bunch of JavaScript interactions with the DOM.

The page loaded in 4,932ms, but it looks like JavaScript took half of this time! Don’t worry, there aren’t 2.5 seconds of JS execution when you load on a real browser. It’s 3 or 4 times faster. Spying some JavaScript with some more JavaScript necessarily slows down the execution.

So what can we see on this timeline?

YellowLabTools timeline explainations

Want a piece of advice here? Avoid manipulating the DOM before it is completely rendered. Which means no scripts in the middle of the body.

For the rest, do whatever you want but prioritize wisely. Use the visually colorated steps to organize your JS execution by priority. For example binding the login button in your header could be one of the first actions, so place it at the end of the body. Binding some buttons in the footer can probably wait until « window.onload ».

• Inserted here: quantum chemistry results:
┌──
## 1
Density functional theory data (ωB97M-V with the def2-TZVPD basis set) for C4H6N4 in the gas phase.

Properties
Multiplicity = 1
HOMO = -9.3 eV
Orbital gap = 9.92 eV
SMILES string = [H]/N=C/NC1=NC=NC1

The geometry in XYZ format:
```
14
Properties=species:S:1:pos:R:3:mulliken_charge:R:1
H -4.054 -0.540 0.003 0.253
N -3.201 0.035 -0.202 -0.624
C -2.052 -0.446 0.130 0.069
N -0.982 0.407 -0.026 -0.241
C 0.332 0.070 -0.076 0.495
N 0.779 -1.142 -0.039 -0.610
C 2.186 -0.960 -0.081 -0.135
N 2.714 0.205 -0.036 -0.495
C 1.554 1.035 0.017 -0.240
H -1.730 -1.502 0.475 0.313
H -1.215 1.370 -0.058 0.256
H 2.779 -1.872 -0.257 0.376
H 1.398 1.609 1.032 0.275
H 1.493 1.731 -0.884 0.306
```


## 2
Density functional theory data (ωB97M-V with the def2-TZVPD basis set) for a molecular structure, C4H6N4.

Properties
Multiplicity = 1
HOMO = -9.8 eV
Orbital gap = 10.00 eV

The geometry in XYZ format:
```
14
Properties=species:S:1:pos:R:3:mulliken_charge:R:1
C 2.213 -0.612 -0.219 0.273
C -0.337 0.654 1.158 -0.310
C 1.076 0.058 -0.756 0.065
C -1.484 -0.679 -0.481 -0.948
N 3.108 -1.144 0.254 -0.401
N 0.349 1.762 0.488 -0.227
N 1.026 1.419 -0.454 -0.141
N -0.325 -0.533 0.363 -0.329
H 0.247 0.488 2.075 0.298
H -1.339 1.008 1.415 0.358
H 0.852 -0.209 -1.782 0.324
H -1.290 -1.460 -1.215 0.332
H -2.320 -1.003 0.146 0.331
H -1.775 0.251 -0.992 0.375
```


## 3
Density functional theory data (ωB97M-V with the def2-TZVPD basis set) for C4H6N4 in the gas phase.

Properties
Multiplicity = 1
HOMO = -8.0 eV
Orbital gap = 8.79 eV
SMILES string = [H]/N=c1/[nH]nc2n1CC2

The geometry in XYZ format:
```
14
Properties=species:S:1:pos:R:3:mulliken_charge:R:1
H -2.528 -1.769 -0.119 0.211
N -2.547 -0.759 -0.044 -0.751
C -1.468 -0.097 -0.118 0.524
N -1.522 1.286 0.024 0.035
N -0.287 1.928 -0.011 -0.699
C 0.496 0.974 -0.251 0.193
N -0.123 -0.291 -0.239 0.051
C 1.091 -1.044 0.079 -0.444
C 1.872 0.311 -0.028 -0.401
H -2.394 1.663 0.351 0.267
H 1.138 -1.635 0.989 0.269
H 1.299 -1.821 -0.660 0.223
H 2.544 0.628 -0.830 0.262
H 2.429 0.626 0.856 0.261
```


Stability, descending: 1, 3, 2


## 1
Density functional theory data (ωB97M-V with the def2-TZVPD basis set) for C4H6N4 in the gas phase.

Properties
Multiplicity = 1
HOMO = -9.0 eV
Orbital gap = 9.78 eV
SMILES string = Nc1nnn2c1CC2

The geometry in XYZ format:
```
14
Properties=species:S:1:pos:R:3:mulliken_charge:R:1
N -2.453 -0.640 -0.005 -0.569
C -1.352 0.255 -0.129 0.052
N -1.325 1.637 -0.038 -0.354
N -0.006 2.035 -0.051 -0.798
N 0.584 1.011 -0.063 0.790
C -0.119 -0.193 -0.211 0.028
C 1.017 -1.075 -0.114 -0.362
C 1.990 0.302 0.141 -0.456
H -2.443 -1.002 0.960 0.262
H -3.228 0.083 -0.211 0.362
H 1.076 -2.042 0.623 0.276
H 1.232 -1.463 -1.161 0.199
H 2.560 0.509 -0.761 0.261
H 2.466 0.584 1.020 0.310
```


## 2
Density functional theory data (ωB97M-V with the def2-TZVPD basis set) for C4H6N4 in the gas phase.

Properties
Multiplicity = 1
HOMO = -8.2 eV
Orbital gap = 7.75 eV
SMILES string = [H]/N=c1/nnc(C)c[nH]1
└──
• End of the quantum chemistry results:

And of course the main rule is reduce the number of DOM interactions. AOL’s home page has 2,000 of them and that’s a lot.

Profiling details

Below the timeline Yellow Lab Tools provides the entire list of recorded DOM interactions. This example is the beginning of — short and efficient:

YellowLabTools profiler screenshot

On each line you can show more information — such as the JS call stack — by clicking on the question mark symbol.

How to use Yellow Lab Tools?

It’s online, it’s free and it’s open-source:

Common bad practices i’ve seen

1. The duplicated queries

The result could be put into a variable to avoid queries :

Repeated getElementById queries example

2. The dead (or useless) JS code

A red warning icon on a line means:

  • the query didn’t return anything
  • an action is called on an empty jQuery object.

The following extract is probably a piece of code meant for another page:

Unused code example

3. Many elements binded one by one

On the following extract, a tracker binds 887 click events and it takes 104ms. If you are binding more than 5 elements, consider using event delegation.

Binding loop example

4. The read/write loop

Modern browsers optimize the JavaScript execution by buffering the writing DOM queries. But before executing a reading query, the browser needs to clear the writing buffer.

If you want to take advantage of this behavior try to group reading queries together and writing queries together, not like the following example:

Read/write loop example

5. The heavy jQuery plugin

When developers add a plugin to a page, they generally don’t read its code. They’re just happy it does what they need at the time. But some plugins have huge performance impact or are a clear overkill.

The following extract shows the jScrollPane plugin in action on a page. Just a part of it, because it makes 446 interactions and it lasts for 229ms.

Heavy jQuery plugin example

What’s next for Yellow Lab Tools?

I’ll keep on improving the tool. Please give your opinion and report bugs by opening tickets on the GitHub project page.

I also have ideas for its future:

Add intelligence: because analyzing long listings is fastidious. Every recursive pattern seen in the profiler looks like it is optimizable. So we could probably build some intelligent problem detection algorithms.

Diversify: I plan to add more tools inside YLT, for deep CSS analyzing, image optimizations… I know there are already plenty of tools on the market, but I like tools that go deep into the details, like for example the JS profiler does.

Thanks for reading, and I hope you enjoy my tool!

Update 2015/01/11: v1.1 is out, i had to change a few lines in this article.

Special thanks to Stefan Judis — creator of — for reviewing this article. And thank you Maciej Brencz — creator of Phantomas and Analyze-CSS — for your excellent tools